• To do:
Next, write out the lines further down up to the one that holds "4.416", that line included.
• Data:
[1]
VASP calculation (PBE+U) on Li3Cr2P3O12 after structural relaxation.

```
Li3Cr2P3O12
1.0
-1.281 7.818 3.663
-2.448 -3.855 7.372
9.121 -3.783 11.263
O Li P Cr
48 12 12 8
Cartesian
6.959 -3.353 11.486
1.115 3.180 8.742
-1.566 3.531 10.813
3.673 -5.226 14.531
1.846 1.435 11.012
1.721 5.405 7.768
7.105 -1.124 10.347
3.401 -0.842 15.281
6.406 -3.100 16.324
-1.233 6.779 4.746
1.992 1.021 7.017
3.740 -2.649 16.895
-0.393 1.328 4.166
7.120 -3.821 14.104
-1.271 -0.999 9.993
3.877 2.697 16.105
1.567 -1.664 13.347
5.786 -1.149 18.133
-1.726 4.000 8.194
3.268 3.094 12.406
5.472 -0.718 13.555
1.517 -2.519 6.193
-1.013 3.278 5.974
0.987 2.200 13.184
6.626 -6.600 17.552
2.738 -4.560 12.258
7.663 0.118 14.394
2.577 0.568 4.622
-2.270 0.061 7.905
2.817 -0.389 17.676
1.653 2.828 5.404
2.125 -2.915 9.893
3.826 1.843 8.952
-0.237 -4.317 9.595
3.048 0.802 13.214
5.620 1.632 14.535
6.664 1.178 12.305
6.140 1.173 17.407
2.655 4.739 10.041
5.630 4.496 12.703
-1.711 1.303 11.951
-0.227 -1.453 7.764
3.547 -1.256 11.287
-0.079 0.897 8.743
-0.746 -0.994 4.891
4.278 -3.001 13.556
4.407 -2.021 9.115
2.345 -0.623 9.085
-0.763 2.620 9.350
4.476 3.245 13.949
5.753 -0.621 8.996
5.021 -2.166 15.289
1.249 0.925 3.202
3.750 1.020 15.119
6.156 -2.441 12.948
0.373 2.345 7.009
1.643 -0.841 7.180
4.144 -0.746 19.096
-0.360 0.800 13.303
0.917 -3.066 8.350
6.391 0.551 13.693
7.575 -2.591 10.261
3.103 -1.712 9.902
2.763 -1.464 16.571
-0.997 -0.372 8.605
-2.266 3.756 6.752
1.465 4.669 9.105
7.659 -3.577 15.546
2.290 1.891 12.396
2.630 1.643 5.727
3.928 -4.490 13.194
-2.182 2.770 12.037
-0.581 -2.565 6.047
5.974 2.744 16.251
4.036 4.662 11.406
0.011 3.284 4.242
5.382 -3.105 18.056
1.958 1.311 9.062
3.435 -1.132 13.237
1.357 -4.483 10.892
```

Properties
Offset from the most stable computed form ... 0.005 eV per atom
Final energy ... -7.08 eV per atom
Size of the total moment ... 0.0 Bohr magnetons per cell
Formation energy ... -2663 meV per atom


[2]
VASP calculation (PBE+U) on Li8Sc5Fe3Si16O48 after structural relaxation.

```
Li8Sc5Fe3Si16O48
1.0
-2.185 -0.528 8.664
4.493 -8.803 0.597
10.370 1.253 2.691
Si O Fe Li Sc
16 48 3 8 5
Cartesian
12.917 -5.990 6.717
6.471 -6.015 9.691
10.848 -5.284 3.222
4.786 -7.023 6.212
3.632 -2.358 1.580
5.679 -5.895 1.874
4.409 -2.496 9.385
7.750 -6.629 5.354
1.279 -6.638 8.335
9.962 -6.396 7.561
9.606 -1.872 10.725
8.805 -1.746 2.915
0.138 -1.996 3.738
2.330 -1.774 5.918
5.315 -1.355 5.061
7.509 -1.147 7.257
6.679 -7.655 9.682
2.491 -3.423 5.852
4.905 -5.700 10.090
1.136 -1.343 4.871
4.483 -5.488 0.810
6.342 -7.367 5.788
6.832 -5.243 8.303
4.399 -7.786 7.581
9.564 -7.160 8.924
10.373 -2.063 2.504
3.761 -7.635 5.073
4.769 -3.095 7.913
13.258 -6.576 5.248
0.430 -3.509 9.102
0.515 -1.237 2.360
3.745 -1.058 5.464
10.705 -2.385 6.419
5.337 -5.312 3.344
8.112 -7.232 3.888
5.671 -0.579 3.678
11.521 -6.740 7.161
7.525 -4.992 5.437
5.520 -2.996 5.053
5.187 -2.704 1.158
8.608 -0.108 2.961
4.626 -5.372 6.270
2.331 -5.606 4.111
6.329 -0.712 6.189
7.670 -2.797 7.194
3.244 -3.123 2.952
5.609 -2.900 10.438
8.428 -2.503 4.295
8.933 -0.438 6.815
3.472 -0.709 1.638
7.181 -0.557 8.723
9.955 -2.480 9.258
8.951 -7.015 6.414
9.669 -4.848 2.157
11.009 -6.933 3.159
10.081 -5.092 11.440
1.647 -5.857 6.957
4.183 -0.861 9.467
-0.966 -1.490 8.098
11.844 -7.023 10.991
10.520 -4.692 4.692
5.877 -7.533 1.821
2.014 -1.183 7.384
9.804 -4.747 7.615
4.948 0.570 2.284
0.920 -4.722 5.557
6.103 -4.096 6.912
2.050 0.176 2.884
1.706 -4.532 2.441
3.192 -4.485 7.501
6.891 -3.905 3.787
-1.627 -0.393 6.453
8.377 -3.860 8.846
11.698 -7.995 4.819
3.553 0.233 7.816
5.800 0.463 9.776
3.971 -4.295 4.416
9.153 -3.674 5.761
5.146 -8.958 9.038
-0.230 -0.055 0.911
```

Properties
Final energy ... -7.58 eV per atom
Size of the total moment ... 15.0 Bohr magnetons per cell
Formation energy ... -3119 meV per atom


[3]
VASP calculation (PBE+U) on SrCa7Mn8O23 after structural relaxation.

```
SrCa7Mn8O23
1.0
7.642 -0.001 0.000
-0.001 7.642 0.000
0.000 0.000 7.717
O Mn Ca Sr
23 8 7 1
• Reply:
[1]
VASP calculation (PBE+U) on Li3Cr2P3O12 after structural relaxation.

```
Li3Cr2P3O12
1.0
-1.281 7.818 3.663
-2.448 -3.855 7.372
9.121 -3.783 11.263
O Li P Cr
48 12 12 8
Cartesian
6.959 -3.353 11.486
1.115 3.180 8.742
-1.566 3.531 10.813
3.673 -5.226 14.531
1.846 1.435 11.012
1.721 5.405 7.768
7.105 -1.124 10.347
3.401 -0.842 15.281
6.406 -3.100 16.324
-1.233 6.779 4.746
1.992 1.021 7.017
3.740 -2.649 16.895
-0.393 1.328 4.166
7.120 -3.821 14.104
-1.271 -0.999 9.993
3.877 2.697 16.105
1.567 -1.664 13.347
5.786 -1.149 18.133
-1.726 4.000 8.194
3.268 3.094 12.406
5.472 -0.718 13.555
1.517 -2.519 6.193
-1.013 3.278 5.974
0.987 2.200 13.184
6.626 -6.600 17.552
2.738 -4.560 12.258
7.663 0.118 14.394
2.577 0.568 4.622
-2.270 0.061 7.905
2.817 -0.389 17.676
1.653 2.828 5.404
2.125 -2.915 9.893
3.826 1.843 8.952
-0.237 -4.317 9.595
3.048 0.802 13.214
5.620 1.632 14.535
6.664 1.178 12.305
6.140 1.173 17.407
2.655 4.739 10.041
5.630 4.496 12.703
-1.711 1.303 11.951
-0.227 -1.453 7.764
3.547 -1.256 11.287
-0.079 0.897 8.743
-0.746 -0.994 4.891
4.278 -3.001 13.556
4.407 -2.021 9.115
2.345 -0.623 9.085
-0.763 2.620 9.350
4.476 3.245 13.949
5.753 -0.621 8.996
5.021 -2.166 15.289
1.249 0.925 3.202
3.750 1.020 15.119
6.156 -2.441 12.948
0.373 2.345 7.009
1.643 -0.841 7.180
4.144 -0.746 19.096
-0.360 0.800 13.303
0.917 -3.066 8.350
6.391 0.551 13.693
7.575 -2.591 10.261
3.103 -1.712 9.902
2.763 -1.464 16.571
-0.997 -0.372 8.605
-2.266 3.756 6.752
1.465 4.669 9.105
7.659 -3.577 15.546
2.290 1.891 12.396
2.630 1.643 5.727
3.928 -4.490 13.194
-2.182 2.770 12.037
-0.581 -2.565 6.047
5.974 2.744 16.251
4.036 4.662 11.406
0.011 3.284 4.242
5.382 -3.105 18.056
1.958 1.311 9.062
3.435 -1.132 13.237
1.357 -4.483 10.892
```

Properties
Offset from the most stable computed form ... 0.005 eV per atom
Final energy ... -7.08 eV per atom
Size of the total moment ... 0.0 Bohr magnetons per cell
Formation energy ... -2663 meV per atom


[2]
VASP calculation (PBE+U) on Li8Sc5Fe3Si16O48 after structural relaxation.

```
Li8Sc5Fe3Si16O48
1.0
-2.185 -0.528 8.664
4.493 -8.803 0.597
10.370 1.253 2.691
Si O Fe Li Sc
16 48 3 8 5
Cartesian
12.917 -5.990 6.717
6.471 -6.015 9.691
10.848 -5.284 3.222
4.786 -7.023 6.212
3.632 -2.358 1.580
5.679 -5.895 1.874
4.409 -2.496 9.385
7.750 -6.629 5.354
1.279 -6.638 8.335
9.962 -6.396 7.561
9.606 -1.872 10.725
8.805 -1.746 2.915
0.138 -1.996 3.738
2.330 -1.774 5.918
5.315 -1.355 5.061
7.509 -1.147 7.257
6.679 -7.655 9.682
2.491 -3.423 5.852
4.905 -5.700 10.090
1.136 -1.343 4.871
4.483 -5.488 0.810
6.342 -7.367 5.788
6.832 -5.243 8.303
4.399 -7.786 7.581
9.564 -7.160 8.924
10.373 -2.063 2.504
3.761 -7.635 5.073
4.769 -3.095 7.913
13.258 -6.576 5.248
0.430 -3.509 9.102
0.515 -1.237 2.360
3.745 -1.058 5.464
10.705 -2.385 6.419
5.337 -5.312 3.344
8.112 -7.232 3.888
5.671 -0.579 3.678
11.521 -6.740 7.161
7.525 -4.992 5.437
5.520 -2.996 5.053
5.187 -2.704 1.158
8.608 -0.108 2.961
4.626 -5.372 6.270
2.331 -5.606 4.111
6.329 -0.712 6.189
7.670 -2.797 7.194
3.244 -3.123 2.952
5.609 -2.900 10.438
8.428 -2.503 4.295
8.933 -0.438 6.815
3.472 -0.709 1.638
7.181 -0.557 8.723
9.955 -2.480 9.258
8.951 -7.015 6.414
9.669 -4.848 2.157
11.009 -6.933 3.159
10.081 -5.092 11.440
1.647 -5.857 6.957
4.183 -0.861 9.467
-0.966 -1.490 8.098
11.844 -7.023 10.991
10.520 -4.692 4.692
5.877 -7.533 1.821
2.014 -1.183 7.384
9.804 -4.747 7.615
4.948 0.570 2.284
0.920 -4.722 5.557
6.103 -4.096 6.912
2.050 0.176 2.884
1.706 -4.532 2.441
3.192 -4.485 7.501
6.891 -3.905 3.787
-1.627 -0.393 6.453
8.377 -3.860 8.846
11.698 -7.995 4.819
3.553 0.233 7.816
5.800 0.463 9.776
3.971 -4.295 4.416